True Gospel Revealed Anew By Jesus. Volume 4

Mary is happy when she is permitted to write to Leslie.

November 23rd, 1915

Received by James Padgett.

Washington D.C.


I am here, Mary Kennedy.

**Attached: materials data:**
Computed, not measured: a geometry-optimized In2SiPb structure at the PBE level of DFT.

It has space group Cmm2 (No. 35), with a = 4.2166 Å, b = 5.0867 Å, c = 9.6228 Å, α = 90.00°, β = 90.00° and γ = 90.00°. The distinct sites, in fractional coordinates, are In at (0.0000, 0.0000, 0.0000), In at (0.0000, 0.5000, 0.2657), Si at (0.0000, 0.5000, 0.7897) and Pb at (0.0000, 0.0000, 0.5556).

The calculation puts the density of states at the Fermi level at 3.3 states/eV per cell. The total magnetization is 0.00 μB/cell. Its volume is 206 Å³/cell. Its raw total energy is -3.379 eV/atom. The relative energy among the computed polymorphs is 38 meV/atom.

Your wife did not mention my name1 and so I thought that I would tell you myself, for I am of much importance to my dear as any of them that she mentioned. I wanted to tell him that I am right here and close to him, and won’t let even his mother take my place, though I love her very much and she loves me, but she knows that I am entitled to the first place, and that I won’t let anyone take my place.

I am with him nearly all the time, trying to help and comfort him, and make him have good thoughts, and wish for me. So he will understand when you read this to him that I intend that he shall know that I am with him and won’t let him forget me even if he wanted to, which I don’t believe.

I was with you on Friday night, but I did not write or say anything, as his mother and grandmother and sisters and brothers were so anxious to communicate with him; but now, while I am here and have the opportunity which is mine by right of love, I intend to be first to write him. He must not think I am a bit jealous, for I am not; but you know that when a sweetheart has a chance to write to her soulmate, she is going to do it or try very hard. They can write too, but they must wait until I get through, and then they can tell him whatever they wish. So tell him to love and think of me and wish that I may be with him very often.

I am progressing in my soul development and I am very happy; and the only thing that when he is around makes me happier is to have him with me, but that will not be very soon, for he has a work to do before he comes over, and he will have to wait until he does that work.

I am so glad, though, that he has this work, and as he is doing it and helping others, he will also help himself, so that when he does come over he and I will not be separated for a very long time.

I suppose I have written enough under the circumstances, and should let others write, but I certainly wish that I could have one evening when I could take my time, and tell him of a great many things that I want him to know. So tell him that I am not stopping because I want to, but because decency requires it.

He is my own true love, and I love him with all my heart, and sometime he will know what this means.

So with all my love for him and my sister’s love for you, I will stop.

His own true,


Note 1 This message has not been published and has not been preserved as it is not in the archive.